[Data]
/*
1) The following is a quantum chemistry calculation of a cluster of 2 separate species, C3H3N3 in total, from OMol25.

Results
Gap between HOMO and LUMO (alpha / beta)   7.30 / 7.30 eV
LUMO (alpha / beta)   -2.412 / -2.412 eV
Charge   0
2S+1   1

```
9
Properties=species:S:1:pos:R:3:nbo_charge:R:1
N -0.66094 -0.70882 -0.36078 -0.61
C 0.35387 -0.28829 0.32484 0.18
C 1.69153 -0.65825 -0.03728 0.17
N 2.77119 -0.95974 -0.32053 -0.15
C -0.55559 2.00870 0.23119 -0.10
N -1.69399 1.72522 0.32617 -0.71
H -1.53102 -0.18060 -0.16260 0.48
H -0.55663 -1.19914 -1.24160 0.43
H 0.18159 0.26092 1.24060 0.31
```

***

2) The following is a quantum chemistry calculation of a structure of composition C3H3N3, from OMol25.

Results
Gap between HOMO and LUMO   9.74 eV
LUMO   -0.171 eV
Charge   0
2S+1   1

```
9
Properties=species:S:1:pos:R:3:nbo_charge:R:1
N 1.01691 0.69735 -1.08746 -0.87
C -0.85518 -0.31544 0.28227 -0.28
C 0.08067 -0.25298 -0.79098 0.34
N -0.40225 -1.31889 -1.19660 -0.17
C -0.40739 -0.64969 1.60577 0.23
N -0.03024 -0.86253 2.68276 -0.29
H 0.60632 1.57040 -1.37621 0.40
H 1.70581 0.77409 -0.35718 0.40
H -1.71465 0.35769 0.23763 0.24
```

***

Least stable of them? 1).

***

1) The following is a quantum chemistry calculation of an isolated molecule of C3H3N3, from OMol25.

Results
Gap between HOMO and LUMO   10.94 eV
LUMO   0.739 eV
Charge   0
2S+1   1

```
9
Properties=species:S:1:pos:R:3:nbo_charge:R:1
C -0.77826 -0.42709 0.13339 0.21
N 0.06158 -1.52574 -0.33855 -0.40
C 1.05193 -0.79158 0.00798 0.24
N 0.43070 0.40225 0.52074 -0.49
C -0.19167 1.24388 -0.46864 0.24
N -1.22256 0.57627 -0.83124 -0.40
H -1.44754 -0.64070 0.96237 0.21
H 2.10826 -1.03898 0.04304 0.20
H 0.09318 2.25874 -0.72776 0.20
```

***

2) The following is a quantum chemistry calculation of an isolated molecule of C3H3N3, from OMol25.

Results
Gap between HOMO and LUMO   10.09 eV
LUMO   0.113 eV
Charge   0
SMILES   c1cnnnc1
2S+1   1

```
9
Properties=species:S:1:pos:R:3:nbo_charge:R:1
C 0.31351 -0.10900 -0.81130 -0.25
C -0.89191 -0.64865 -0.39840 0.02
N -1.31562 -0.53785 0.86358 -0.23
N -0.57140 0.08137 1.75390 0.01
N 0.51658 0.73125 1.40193 -0.23
C 0.94426 0.67065 0.13930 0.03
H 0.74987 -0.27528 -1.78910 0.23
H -1.56305 -1.18591 -1.06475 0.21
H 1.81776 1.27340 -0.09516 0.21
```

***

3) The following is a quantum chemistry calculation of an isolated molecule of C3H3N3, from OMol25.

Results
Gap between HOMO and LUMO   9.58 eV
LUMO   0.444 eV
Charge   0
SMILES   N#CC(N)=C=N
2S+1   1

```
9
Properties=species:S:1:pos:R:3:nbo_charge:R:1
N -1.16771 -0.79533 -0.49587 -0.82
C -0.17964 0.16684 -0.22872 -0.16
C 1.06140 -0.13424 0.11522 0.44
N 2.20576 -0.44328 0.41598 -0.57
C -0.54522 1.55574 -0.23841 0.26
N -0.85809 2.66928 -0.16814 -0.31
H -1.86852 -0.93723 0.21124 0.39
H -0.91533 -1.59490 -1.04656 0.39
H 2.26734 -0.48688 1.43526 0.38
```

***

Least stable of them? 1).

***

1) The following is a quantum chemistry calculation of an isolated molecule of C2H4N2S3, from OMol25.

Results
Gap between HOMO and LUMO   8.41 eV
LUMO   -0.217 eV
Charge   0
SMILES   NC(=S)SNC=S
2S+1   1

```
11
Properties=species:S:1:pos:R:3:nbo_charge:R:1
C 1.61317 -0.21463 -0.25002 -0.07
C -1.96238 0.47956 -0.12398 -0.03
H 1.67847 -1.81097 0.82084 0.39
H 0.19489 -1.45735 0.31457 0.40
H -0.86010 2.13888 0.69427 0.44
H -2.86104 0.85462 0.34482 0.21
N 1.17689 -1.07064 0.61633 -0.77
N -0.86567 1.19540 0.16641 -0.74
S 3.25742 -0.15736 -0.74338 -0.18
S 0.56316 1.02685 -0.85717 0.52
S -1.93481 -0.98436 -0.98267 -0.17
```

***

2) The following is a quantum chemistry calculation of an isolated molecule of C2H4N2S3, from OMol25.

Results
Gap between HOMO and LUMO   9.50 eV
LUMO   0.320 eV
Charge   0
SMILES   SC1(S)N=NCS1
2S+1   1

```
11
Properties=species:S:1:pos:R:3:nbo_charge:R:1
C -0.44993 1.47617 0.70128 -0.43
C 0.35127 -0.61046 -0.43730 -0.35
N -0.31812 0.38863 1.60706 -0.08
N 0.17098 -0.63166 1.15013 -0.11
S 0.37139 1.14313 -0.89196 0.23
S 1.91907 -1.53063 -0.97595 0.00
*/

[Assignment]
Now reproduce every line further up that contains the word "an".

[Done]
1) The following is a quantum chemistry calculation of an isolated molecule of C3H3N3, from OMol25.
2) The following is a quantum chemistry calculation of an isolated molecule of C3H3N3, from OMol25.
3) The following is a quantum chemistry calculation of an isolated molecule of C3H3N3, from OMol25.
1) The following is a quantum chemistry calculation of an isolated molecule of C2H4N2S3, from OMol25.
2) The following is a quantum chemistry calculation of an isolated molecule of C2H4N2S3, from OMol25.